Restate the lines underneath from the one with "4.2756 -1.1455" to the one with "-0.5858" without additions.

- - -
[1]
Below is a structure of composition C20H21IN5OPdS, with properties calculated with wB97M-V/def2-TZVPD.

Geometry (Å):
Pd1 1.3384 -0.0835 0.0475
C1 4.2473 -1.2963 -0.9895
N1 3.6663 -0.5382 0.1233
C2 4.3995 0.7320 0.2566
C3 3.7584 -1.3046 1.3832
C4 2.9670 -0.6200 2.4683
C5 3.3667 -0.6290 3.7981
C6 2.6109 0.0339 4.7571
C7 1.4655 0.7247 4.3894
C8 1.0607 0.7422 3.0568
C9 1.8001 0.0497 2.1154
H1 5.3235 -1.4394 -0.8419
H2 4.0958 -0.7553 -1.9226
H3 3.7850 -2.2775 -1.0665
H4 5.4586 0.5381 0.4594
H5 3.9899 1.3185 1.0761
H6 4.3204 1.3026 -0.6670
H7 4.8084 -1.4296 1.6741
H8 3.3523 -2.3021 1.1913
H9 4.2756 -1.1455 4.0851
H10 2.9289 0.0268 5.7909
H11 0.8902 1.2581 5.1352
H12 0.1739 1.2991 2.7740
O1 3.0287 3.9158 -0.5858
S1 1.7435 3.3114 -0.3458
N2 1.6270 1.8169 -0.5528
I1 -0.8297 -3.1697 -0.9404
C10 0.9519 -2.2665 -1.2930
H13 1.0911 -1.8149 -2.2662
H14 1.7963 -2.7507 -0.8239
N3 -8.1630 0.8901 -4.9568
C11 -7.2850 0.7788 -4.2257
C12 -6.1815 0.6365 -3.3117
C13 -5.1891 1.6115 -3.2679
C14 -4.1307 1.4768 -2.3871
C15 -4.0627 0.3580 -1.5721
C16 -5.0440 -0.6205 -1.6095
C17 -6.1116 -0.4760 -2.4765
N4 -2.9569 0.2026 -0.6830
C18 -3.0051 -0.2291 0.6236
C19 -1.7195 -0.2387 1.0656
N5 -0.8893 0.1639 0.0457
C20 -1.6624 0.4218 -0.9869
H15 -5.2577 2.4767 -3.9122
H16 -3.3745 2.2476 -2.3193
H17 -4.9647 -1.4963 -0.9792
H18 -6.8860 -1.2288 -2.5202
H19 -3.9357 -0.4446 1.1176
H20 -1.3374 -0.5124 2.0338
H21 -1.3349 0.7350 -1.9647

The calculation puts the HOMO energy (spin up / spin down) at -10.780 / -11.777 eV. Its expectation value of S² is 6.02. Its charge is +1. The value obtained for the molar mass is 612.81 g mol⁻¹. The value obtained for the HOMO-LUMO gap (spin up / spin down) is 6.667 / 5.516 eV. Its multiplicity is 5.

Atom charges from the Löwdin analysis, given in e for atoms 1 to 2:
1 Pd 0.864
2 C -0.082

[2]
Below is a structure of composition C20H21N11RhS, with properties calculated with wB97M-V/def2-TZVPD.

Geometry (Å):
Rh1 0.5982 1.1907 -0.9623
C1 -1.0082 5.1807 -1.0667
C2 -0.7081 3.7267 -0.9823
N1 0.4597 3.1952 -0.8510
N2 1.6384 3.9065 -0.8663
C3 2.8031 3.2238 -0.9907
N3 3.9271 3.9058 -0.9727
S1 2.8549 1.5084 -1.2155
C4 -1.8256 2.7267 -1.0623
C5 -3.1479 3.0985 -1.1209
C6 -4.1253 2.1030 -1.2382
C7 -3.7370 0.7829 -1.2965
C8 -2.3786 0.4745 -1.2406
N4 -1.4528 1.4186 -1.1342
H1 -0.1364 5.8268 -1.0025
H2 -1.6849 5.4595 -0.2564
H3 -1.5174 5.3994 -2.0076
H4 1.6052 4.9172 -0.8726
H5 3.9719 4.9110 -0.8758
H6 4.8052 3.4219 -1.1061
H7 -3.4341 4.1400 -1.0905
H8 -5.1713 2.3745 -1.2896
H9 -4.4615 -0.0143 -1.3872
H10 -2.0239 -0.5459 -1.2981
N5 0.5361 -9.3083 1.2396
C9 0.5635 -8.2414 0.8178
C10 0.6008 -6.9031 0.2902
C11 0.3878 -5.8195 1.1374
C12 0.4241 -4.5306 0.6376
C13 0.6757 -4.3313 -0.7115
C14 0.8890 -5.4003 -1.5656
C15 0.8494 -6.6897 -1.0609
N6 0.7178 -2.9797 -1.2417
C16 0.8958 -2.6286 -2.5604
C17 0.8877 -1.2741 -2.6137
N7 0.7016 -0.7957 -1.3314
C18 0.6051 -1.8498 -0.5313
H11 0.1933 -5.9895 2.1869
H12 0.2527 -3.7088 1.3177
H13 1.0928 -5.2639 -2.6169
H14 1.0141 -7.5319 -1.7182
H15 1.0149 -3.3466 -3.3497
H16 1.0104 -0.6324 -3.4705
H17 0.4821 -1.8011 0.5343
N8 -0.8199 1.2988 5.3691
C19 -0.0924 1.6578 4.3274
N9 0.7827 2.6566 4.4322
N10 -0.2932 0.9710 3.1959
C20 0.1372 1.0368 2.0213
N11 0.4765 0.8242 0.9143
H18 -0.7260 1.7341 6.2734
H19 -1.4732 0.5378 5.2726
H20 0.9434 3.1260 5.3101
H21 1.4195 2.8510 3.6809

The calculation puts the HOMO energy at -15.682 eV. Its charge is +3. The value obtained for the molar mass is 550.44 g mol⁻¹. The value obtained for the HOMO-LUMO gap is 5.031 eV.

Atom charges from the Löwdin analysis, given in e for atoms 1 to 2:
1 Rh 0.973
2 C 0.031

[3]
Below is an isolated molecule of C20H21N3O3, with properties calculated with wB97M-V/def2-TZVPD.

Geometry (Å):
C1 1.2373 -1.3327 -0.2807
C2 0.1574 -2.1694 0.2846
C3 2.8289 -1.4917 0.2914
C4 3.8942 -0.4513 -0.0553
C5 4.2765 0.5235 0.9202
C6 4.7660 -0.6463 -1.2305
C7 5.4601 1.3441 0.7980
C8 5.9627 0.1362 -1.4604
C9 6.2319 1.2373 -0.3515
C10 -2.2281 -2.2117 0.8203
- - -

H9 4.2756 -1.1455 4.0851
H10 2.9289 0.0268 5.7909
H11 0.8902 1.2581 5.1352
H12 0.1739 1.2991 2.7740
O1 3.0287 3.9158 -0.5858